**Brief:**
Your job: print all of the lines below unchanged.

**Listing:**
********
Record 1
This entry pairs a crystal structure of SbMo2S2 with its calculated XRD peak list. Radiation: Cu Kα, 1.54184 Å. Structure: DFT lattice parameters and positions (PBE).
No peak broadening, texture or thermal motion is included.

Largest 10 diffraction maxima, by intensity, 2θ from 5° to 70°:
- 39.17 deg, d = 2.300 Å, intensity 100, (1 1 2)
- 13.93 deg, d = 6.359 Å, intensity 70, (1 0 0)
- 34.16 deg, d = 2.625 Å, intensity 61, (0 1 2)
- 9.66 deg, d = 9.157 Å, intensity 56, (0 0 1)
- 34.67 deg, d = 2.588 Å, intensity 44, (2 0 -3)
- 14.60 deg, d = 6.067 Å, intensity 43, (1 0 -1)
- 40.44 deg, d = 2.230 Å, intensity 40, (1 1 -3)
- 57.52 deg, d = 1.602 Å, intensity 33, (0 2 0)
- 33.97 deg, d = 2.639 Å, intensity 31, (1 1 1)
- 26.96 deg, d = 3.308 Å, intensity 28, (1 0 2)

```
data_SbMo2S2
_chemical_formula_sum 'Sb2 Mo4 S4'
_symmetry_space_group_name_H-M 'P 1 21/m 1'
_symmetry_Int_Tables_number 11
_cell_length_a 6.6161
_cell_length_b 3.2036
_cell_length_c 9.5277
_cell_angle_alpha 90.00
_cell_angle_beta 106.03
_cell_angle_gamma 90.00
loop_
_symmetry_equiv_pos_as_xyz
'x,y,z'
'-x,-y,-z'
'-x,y+1/2,-z'
'x,-y+1/2,z'
loop_
_atom_site_label
_atom_site_type_symbol
_atom_site_fract_x
_atom_site_fract_y
_atom_site_fract_z
Sb1 Sb 0.0038 0.2500 0.1612
Mo1 Mo 0.1054 0.2500 0.6149
Mo2 Mo 0.3383 0.2500 0.0208
S1 S 0.2623 0.7500 0.4930
S2 S 0.4703 0.2500 0.8113
```


Record 2
This entry pairs a crystal structure of Mo2SeS3 with its calculated XRD peak list. Radiation: Cu Kα, 1.54184 Å. Structure: DFT lattice parameters and positions (PBE).
No peak broadening, texture or thermal motion is included.

Largest 10 diffraction maxima, by intensity, 2θ from 5° to 70°:
- 11.68 deg, d = 7.578 Å, intensity 100, (0 0 5)
- 37.39 deg, d = 2.405 Å, intensity 47, (1 0 8)
- 7.00 deg, d = 12.629 Å, intensity 37, (0 0 3)
- 44.96 deg, d = 2.016 Å, intensity 36, (1 0 13)
- 32.07 deg, d = 2.791 Å, intensity 24, (1 0 0)
- 14.02 deg, d = 6.315 Å, intensity 20, (0 0 6)
- 57.15 deg, d = 1.612 Å, intensity 16, (1 1 0)
- 34.23 deg, d = 2.620 Å, intensity 11, (1 0 5)
- 46.75 deg, d = 1.943 Å, intensity 9, (1 0 14)
- 58.54 deg, d = 1.577 Å, intensity 9, (1 1 5)

```
data_Mo2SeS3
_chemical_formula_sum 'Mo4 Se2 S6'
_symmetry_space_group_name_H-M 'P 3 m 1'
_symmetry_Int_Tables_number 156
_cell_length_a 3.2239
_cell_length_b 3.2239
_cell_length_c 37.8884
_cell_angle_alpha 90.00
_cell_angle_beta 90.00
_cell_angle_gamma 120.00
loop_
_symmetry_equiv_pos_as_xyz
'x,y,z'
'-y,x-y,z'
'-x+y,-x,z'
'-y,-x,z'
'-x+y,y,z'
'x,x-y,z'
loop_
_atom_site_label
_atom_site_type_symbol
_atom_site_fract_x
_atom_site_fract_y
_atom_site_fract_z
Mo1 Mo 0.0000 0.0000 0.0000
Mo2 Mo 0.0000 0.0000 0.3756
Mo3 Mo 0.3333 0.6667 0.1889
Mo4 Mo 0.3333 0.6667 0.5666
Se1 Se 0.0000 0.0000 0.5215
Se2 Se 0.0000 0.0000 0.6118
S1 S 0.0000 0.0000 0.1479
S2 S 0.0000 0.0000 0.2300
S3 S 0.3333 0.6667 0.0411
S4 S 0.3333 0.6667 0.3345
S5 S 0.3333 0.6667 0.4167
S6 S 0.3333 0.6667 0.9589
```
********

**Here it is:**
Record 1
This entry pairs a crystal structure of SbMo2S2 with its calculated XRD peak list. Radiation: Cu Kα, 1.54184 Å. Structure: DFT lattice parameters and positions (PBE).
No peak broadening, texture or thermal motion is included.

Largest 10 diffraction maxima, by intensity, 2θ from 5° to 70°:
- 39.17 deg, d = 2.300 Å, intensity 100, (1 1 2)
- 13.93 deg, d = 6.359 Å, intensity 70, (1 0 0)
- 34.16 deg, d = 2.625 Å, intensity 61, (0 1 2)
- 9.66 deg, d = 9.157 Å, intensity 56, (0 0 1)
- 34.67 deg, d = 2.588 Å, intensity 44, (2 0 -3)
- 14.60 deg, d = 6.067 Å, intensity 43, (1 0 -1)
- 40.44 deg, d = 2.230 Å, intensity 40, (1 1 -3)
- 57.52 deg, d = 1.602 Å, intensity 33, (0 2 0)
- 33.97 deg, d = 2.639 Å, intensity 31, (1 1 1)
- 26.96 deg, d = 3.308 Å, intensity 28, (1 0 2)

```
data_SbMo2S2
_chemical_formula_sum 'Sb2 Mo4 S4'
_symmetry_space_group_name_H-M 'P 1 21/m 1'
_symmetry_Int_Tables_number 11
_cell_length_a 6.6161
_cell_length_b 3.2036
_cell_length_c 9.5277
_cell_angle_alpha 90.00
_cell_angle_beta 106.03
_cell_angle_gamma 90.00
loop_
_symmetry_equiv_pos_as_xyz
'x,y,z'
'-x,-y,-z'
'-x,y+1/2,-z'
'x,-y+1/2,z'
loop_
_atom_site_label
_atom_site_type_symbol
_atom_site_fract_x
_atom_site_fract_y
_atom_site_fract_z
Sb1 Sb 0.0038 0.2500 0.1612
Mo1 Mo 0.1054 0.2500 0.6149
Mo2 Mo 0.3383 0.2500 0.0208
S1 S 0.2623 0.7500 0.4930
S2 S 0.4703 0.2500 0.8113
```


Record 2
This entry pairs a crystal structure of Mo2SeS3 with its calculated XRD peak list. Radiation: Cu Kα, 1.54184 Å. Structure: DFT lattice parameters and positions (PBE).
No peak broadening, texture or thermal motion is included.

Largest 10 diffraction maxima, by intensity, 2θ from 5° to 70°:
- 11.68 deg, d = 7.578 Å, intensity 100, (0 0 5)
- 37.39 deg, d = 2.405 Å, intensity 47, (1 0 8)
- 7.00 deg, d = 12.629 Å, intensity 37, (0 0 3)
- 44.96 deg, d = 2.016 Å, intensity 36, (1 0 13)
- 32.07 deg, d = 2.791 Å, intensity 24, (1 0 0)
- 14.02 deg, d = 6.315 Å, intensity 20, (0 0 6)
- 57.15 deg, d = 1.612 Å, intensity 16, (1 1 0)
- 34.23 deg, d = 2.620 Å, intensity 11, (1 0 5)
- 46.75 deg, d = 1.943 Å, intensity 9, (1 0 14)
- 58.54 deg, d = 1.577 Å, intensity 9, (1 1 5)

```
data_Mo2SeS3
_chemical_formula_sum 'Mo4 Se2 S6'
_symmetry_space_group_name_H-M 'P 3 m 1'
_symmetry_Int_Tables_number 156
_cell_length_a 3.2239
_cell_length_b 3.2239
_cell_length_c 37.8884
_cell_angle_alpha 90.00
_cell_angle_beta 90.00
_cell_angle_gamma 120.00
loop_
_symmetry_equiv_pos_as_xyz
'x,y,z'
'-y,x-y,z'
'-x+y,-x,z'
'-y,-x,z'
'-x+y,y,z'
'x,x-y,z'
loop_
_atom_site_label
_atom_site_type_symbol
_atom_site_fract_x
_atom_site_fract_y
_atom_site_fract_z
Mo1 Mo 0.0000 0.0000 0.0000
Mo2 Mo 0.0000 0.0000 0.3756
Mo3 Mo 0.3333 0.6667 0.1889
Mo4 Mo 0.3333 0.6667 0.5666
Se1 Se 0.0000 0.0000 0.5215
Se2 Se 0.0000 0.0000 0.6118
S1 S 0.0000 0.0000 0.1479
S2 S 0.0000 0.0000 0.2300
S3 S 0.3333 0.6667 0.0411
S4 S 0.3333 0.6667 0.3345
S5 S 0.3333 0.6667 0.4167
S6 S 0.3333 0.6667 0.9589
```